A look at the paranormal with a professional amateur. Not What You Expect Since Will Smith and Tommy Lee Jones turned them into heroes the Men...
“Sweet Tooth” by Tiffany Promise It didn’t seem that late on Halloween eve—the frothy, mossy stink of recently-scooped pumpkin still permeated the air—but only the goth...
Herb Hiders by Denny Marshall Denny E, Marshall had had art, poetry, and fiction published. One recent credit is interior art in Midnight Echo #14. See...
Army Men Around the House by Gareth McGorman Gareth McGorman is a scale modeler living in Toronto who commands a small army of 1:35 scale soldiers....
Frank’s Hideaway by Bryan Fontenot Last week I received word that Frank had died in a bar fight, his throat cut by another man. Frank wasn’t...
Unrelated to this page: data records >
+++
Formula: C5H7NOS
Source: the OMol25 dataset
Level of theory: ωB97M-V/def2-TZVPD

XYZ file:
```
15
Properties=species:S:1:pos:R:3:lowdin_charge:R:1
S 2.01681 -1.14932 2.55276 0.699
C 1.43999 -0.62691 0.93065 -0.618
C 0.09998 0.06558 1.02375 -0.202
C -0.49338 0.55387 -0.35543 -0.251
C -1.64040 0.26444 -1.00528 -0.023
C -1.50065 0.95928 -2.25400 -0.141
N -0.38520 1.61202 -2.29824 0.045
O 0.29702 1.35480 -1.14839 -0.020
H 1.58187 -2.43932 2.44248 -0.127
H 2.20461 0.06129 0.51572 0.079
H 1.39214 -1.48296 0.22851 0.090
H 0.21909 0.98314 1.66528 0.124
H -0.64893 -0.63155 1.47695 0.118
H -2.42994 -0.48539 -0.70061 0.131
H -2.15300 0.96104 -3.07416 0.096
```

Its LUMO energy is 0.73 eV. The value obtained for the HOMO energy is -9.38 eV. The gap between HOMO and LUMO is 10.12 eV. The calculation puts the energy above the lowest of the compared OMol25 structures with the same formula, charge and spin at 2.041 eV. Its SMILES is SCCc1ccno1.

Formula: C45H95N5O5
Source: the OMol25 dataset
Level of theory: ωB97M-V/def2-TZVPD

XYZ file:
```
150
Properties=species:S:1:pos:R:3:lowdin_charge:R:1
C -25.00232 6.25257 -2.56545 -0.027
C -23.43262 6.43639 -2.53109 -0.376
C -22.67901 5.01948 -2.83924 -0.103
C -21.35305 5.06339 -3.58340 -0.207
C -20.57620 6.27856 -3.31980 -0.170
C -21.31985 7.60468 -3.61377 -0.478
N -22.82950 7.44780 -3.44057 -0.123
O -23.49497 8.64141 -3.38760 -0.001
C -20.60382 8.59681 -2.66593 -0.033
C -21.09720 7.91166 -5.03296 -0.065
C -23.13556 6.84733 -1.03075 -0.055
H -25.38276 6.28671 -3.58633 0.053
H -25.43431 7.11919 -2.06500 0.077
H -25.41242 5.33194 -2.15030 0.086
H -22.56001 4.50913 -1.88348 0.092
H -23.33977 4.29788 -3.31964 0.094
H -21.59854 5.01083 -4.64410 0.118
H -20.77076 4.16729 -3.36885 0.105
H -19.63689 6.13765 -3.85454 0.128
H -20.39632 6.27022 -2.24478 0.101
H -19.52603 8.61024 -2.82806 0.083
H -20.90402 9.61595 -2.90951 0.083
H -20.89479 8.36630 -1.64108 0.055
H -20.04509 8.07060 -5.26939 0.094
H -21.68507 7.44321 -5.82231 0.096
H -21.48784 8.87354 -5.36505 0.081
H -23.88312 6.55671 -0.29264 0.062
H -23.14379 7.88896 -0.70976 0.073
H -22.19629 6.48481 -0.61306 0.058
H -23.97637 8.69785 -4.21625 0.111
C -23.14502 1.52837 -0.21061 -0.038
C -22.47306 0.57910 -1.25045 -0.485
C -22.01832 1.40834 -2.50145 -0.131
C -21.20923 0.58192 -3.46618 -0.221
C -19.99106 0.03751 -2.87164 -0.137
C -20.42038 -0.90087 -1.68707 -0.448
N -21.30403 -0.20451 -0.66179 -0.083
O -21.80263 -1.06285 0.31984 -0.019
C -20.78898 -2.35791 -2.06702 -0.020
C -19.10118 -1.04218 -0.90261 -0.089
C -23.60646 -0.28507 -1.67364 -0.056
H -23.83632 2.19450 -0.72683 0.079
H -22.40794 2.25977 0.12084 0.076
H -23.67438 1.00238 0.58388 0.081
H -22.93788 1.79815 -2.93797 0.104
H -21.51395 2.31612 -2.17030 0.098
H -21.12840 1.22608 -4.34175 0.113
H -21.74535 -0.18631 -4.02340 0.115
H -19.29840 0.82966 -2.58735 0.120
H -19.42246 -0.58776 -3.56000 0.128
H -19.94857 -2.88470 -2.51901 0.088
H -21.12787 -2.89406 -1.18057 0.085
H -21.59546 -2.26614 -2.79453 0.063
+++
End of the data records >
The Thing In The Bell Tower by Alex Taylor I knew it was no tornado that brought Ashland to the dust. Despite what I heard,...
Next to the page, the page also holds data records:
<<<
# C31H71N8O29

A 15-piece molecular cluster, C31H71N8O29 overall at a distorted geometry (ωB97M-V/def2-TZVPD, OMol25).

Last column: Löwdin charge in e.
CARTESIAN COORDINATES (ANGSTROEM)
C1 -3.58689 -0.90587 -2.98687  0.040
C2 -4.09162 0.35301 -3.60999  -0.371
O1 -4.16171 0.55606 -4.76808  0.199
N1 -4.79573 1.37182 -2.68905  0.074
H1 -5.05274 0.90494 -1.82221  0.160
H2 -4.02239 2.02102 -2.44799  0.124
C3 -5.97166 2.03987 -3.34411  0.023
H3 -3.45014 -0.83127 -1.91537  0.057
H4 -2.68679 -1.21678 -3.52660  0.104
H5 -4.22051 -1.74784 -3.29448  0.117
H6 -5.50098 2.66678 -4.09407  0.110
H7 -6.45991 2.69618 -2.62694  0.094
H8 -6.65795 1.26197 -3.65499  0.108
C4 -0.44124 1.36490 0.86634  0.031
C5 -0.78161 0.44409 -0.28583  -0.402
O2 -1.86050 -0.04512 -0.44536  0.104
N2 0.25824 0.40596 -1.32670  0.092
H9 -0.03599 0.87105 -2.22073  0.123
H10 1.02768 0.89466 -0.85064  0.095
C6 0.72276 -0.99940 -1.70361  0.048
H11 0.41745 1.90468 0.46187  0.067
H12 -0.00945 0.92283 1.77070  0.090
H13 -1.18524 2.04801 1.26811  0.081
H14 -0.18734 -1.50326 -2.02574  0.093
H15 1.00597 -1.49715 -0.77381  0.085
H16 1.51996 -0.96080 -2.43298  0.068
C7 -2.95144 -2.26809 5.92402  0.035
C8 -3.56403 -1.48100 4.82143  -0.387
O3 -4.07084 -0.43151 4.87295  0.215
N3 -3.06235 -1.94872 3.43394  0.098
H17 -2.57793 -2.84229 3.42158  0.163
H18 -3.81732 -2.00772 2.74483  0.185
C9 -2.14635 -0.87250 2.83002  0.017
H19 -3.43328 -2.03938 6.86842  0.111
H20 -1.87608 -2.06282 5.95383  0.113
H21 -2.94755 -3.34636 5.74315  0.098
H22 -1.35378 -0.66433 3.53866  0.094
H23 -2.70144 0.03751 2.62439  0.098
H24 -1.89037 -1.26219 1.84527  0.090
C10 5.21732 -2.87198 -0.02788  0.031
C11 4.07065 -3.75515 0.24115  -0.391
O4 2.97310 -3.57104 -0.14293  0.190
N4 4.36385 -5.01707 1.06622  0.093
H25 3.82250 -5.76652 0.61936  0.180
H26 5.31572 -5.37568 0.95491  0.187
C12 3.94768 -5.00168 2.50441  0.013
H27 5.79902 -2.57815 0.85023  0.105
H28 4.82466 -1.96921 -0.49527  0.084
H29 5.90215 -3.31955 -0.75737  0.128
H30 3.15806 -4.28046 2.68864  0.100
H31 4.82852 -4.73940 3.08553  0.105
H32 3.62069 -5.98077 2.84359  0.104
C13 -2.65898 -6.89654 -1.00721  0.040
C14 -1.55396 -6.64859 -0.01325  -0.412
O5 -1.06884 -7.47334 0.69453  0.148
N5 -0.92684 -5.27913 -0.06588  0.054
H33 -1.67401 -4.63807 -0.37984  0.138
H34 -0.66905 -5.15424 0.91323  0.156
C15 0.32322 -5.23847 -0.91231  0.030
H35 -2.18430 -7.14784 -1.95778  0.127
H36 -3.28832 -6.00964 -1.10846  0.074
H37 -3.26301 -7.72612 -0.65102  0.100
H38 1.06559 -5.87979 -0.44174  0.090
H39 0.60464 -4.19899 -0.99337  0.085
H40 -0.00962 -5.76413 -1.80457  0.106
C16 3.62261 5.63469 5.42815  0.041
C17 3.50759 4.61064 4.34083  -0.394
O6 3.75081 4.74039 3.19716  0.208
N6 2.94854 3.26185 4.79779  0.096
H41 3.44628 2.53266 4.28008  0.180
H42 3.05309 3.12224 5.79983  0.169
C18 1.44897 3.23063 4.45572  0.041
H43 2.70800 6.18264 5.64269  0.111
H44 4.35722 6.29456 4.96038  0.111
H45 4.08320 5.25625 6.34015  0.099
H46 1.28235 3.07667 3.39446  0.089
H47 0.99222 3.97901 5.09110  0.114
>>>
So much for the data records:
Damian is a lifelong documentary photographer who originally hails from Newark, Delaware. Damian earned a bachelor’s degree in English and Anthropology from Boston University and boarded...
The Reconstructivist by Emma Parrella I take a step out the door, and my foot sinks about an inch into the grass. We’ve had night and...
On Your Life by Julia Wren “Ready in 5…4…3…2…” a younger woman with a raspy voice in an all-black outfit says to a crew member...
Wicked Pieces by Mary Leoson The crone’s skin sagged like a melting candle. It hung in drips rolling off her face—molten, dying. The eyes were marbles...
Among The Flayed by Ben Spencer Mygento sold their agrochemical seed steroid under the trade name “Sorocom,” but after a year on the market, a period...
“Wherever You Go, There You Are” by Kelli Allen Wherever you go, there you are -“Where I lay my head is home.” –L. Ulrich and J....
Welcome to our ongoing series spotlighting original horror creations. This time we have is an illustration celebrating Halloween by Julie Devin, creator of the webcomic Monster...
A circuit or leeches–I can’t decide and my mind knows that I can feel those buggers crawling on me now (tape worm faces with leech suckers….)...
JICAMA by Laura J. Campbell “I about had a heart attack checking my social media account this morning,” Meredith Stemple said, stirring her vodka-and-orange juice...
Opaque by Matias F. Travieso-Diaz Even in the early days, before the city expanded deeply into the suburbs, the property was an anomaly. It was a...
Hazzard Manor by Dawn Coen It was a cold December morning in Los Angeles. The sort that made Margaret grateful she no longer lived in the...
The Rat by Ben Gartner Marie DesJardin killed her husband with a shotgun, but it wasn’t murder; it was mercy. Pierre DesJardin was a scientist, eager...
Day 14 Dani placed a finger to her lips and pulled her hand away from Sandy’s mouth. “Sandy, I need you to help me here.” She...
Part childhood demon, part Mr Burns–this black and white masterpiece from Denny Marshall brings all that is weird back into scared reality. – Jim Unidentified Legend...